**Data:**
a.
C4H8NS | the ωB97M-V functional and the def2-TZVPD basis

Structure (ORCA input):
```
! wB97M-V def2-TZVPD RIJCOSX def2/J DEFGRID3
* xyz 1 1
S 2.167 -0.673 -0.006
N 0.334 -0.892 1.441
C 0.882 2.057 -1.016
C 0.862 0.261 0.599
C 1.399 -1.791 1.010
C 0.315 1.336 -0.040
H -1.055 -1.498 -0.978
H 0.573 -0.591 2.430
H -0.644 -1.190 1.039
H 0.240 2.677 -1.654
H -1.637 -1.899 -0.627
H -0.702 1.447 0.263
H 1.843 1.715 -1.379
H 1.843 -2.599 1.511
*
```

The HOMO-LUMO gap (alpha / beta) is 7.277 / 7.580 eV. The HOMO energy (alpha / beta) is -12.71 / -12.74 eV.

=====

b.
C4H8NS | the ωB97M-V functional and the def2-TZVPD basis

Structure (ORCA input):
```
! wB97M-V def2-TZVPD RIJCOSX def2/J DEFGRID3
* xyz 1 1
S 3.203 0.461 -1.073
N -0.906 0.185 0.266
C -2.127 0.382 0.980
C -1.348 -0.824 1.232
C 0.028 0.554 -0.476
C 1.886 -0.562 -0.978
H 2.067 -1.162 -0.142
H -3.173 0.485 0.493
H -1.548 -1.769 0.991
H -2.053 1.083 1.793
H 0.055 1.516 -1.045
H -0.766 -0.760 2.114
H 1.528 -0.753 -1.998
H 3.152 1.163 -2.156
*
```

The HOMO-LUMO gap is 9.225 eV. The HOMO energy is -13.11 eV.

=====

Which one sits at the bottom of the stability order? a does.


# 1
ORCA calculation (the ωB97M-V functional and the def2-TZVPD basis) on a 2-piece molecular cluster, C19H27Cl2FO4 overall in a non-equilibrium geometry.

Atoms and positions in Å:
C 5.02238 -0.11598 1.14150
C 4.04251 -0.05724 2.44702
O 3.65730 1.36159 2.57064
C 2.44326 1.47373 1.79573
C 2.20126 2.94569 1.16674
C 2.30456 2.97323 -0.43397
C 0.91519 2.77499 -1.21338
C -0.23457 2.02664 -0.38172
C -1.25934 2.99959 0.38743
O -0.90318 4.38189 0.63838
C -1.20828 4.51483 2.04919
O -0.75745 5.33784 2.86085
O -2.12996 3.47711 2.46977
C -1.81733 2.25920 1.71972
C -3.02970 1.30952 1.25698
F -4.00696 1.36395 2.34841
C -2.62115 -0.22204 1.04044
C -2.56157 -0.69724 -0.49686
H 4.43000 -0.39562 0.19740
H 5.39230 0.96310 0.95424
H 5.87044 -0.83934 1.37731
H 4.56494 -0.44320 3.39562
H 3.11521 -0.73330 2.31592
H 1.48952 1.23423 2.41139
H 2.39891 0.74342 0.89690
H 1.25421 3.40779 1.59966
H 3.07723 3.59454 1.55783
H 3.12821 2.22905 -0.73987
H 2.70899 4.01287 -0.73458
H 1.14863 2.09918 -2.12453
H 0.48504 3.74117 -1.66413
H -0.86793 1.44526 -1.15676
H 0.13541 1.24567 0.36365
H -2.10532 3.11745 -0.39239
H -0.98892 1.73510 2.33263
H -3.57426 1.75271 0.34305
H -1.63303 -0.43587 1.59246
H -3.41104 -0.88578 1.55594
H -3.21360 -1.64143 -0.60979
H -2.95530 0.13109 -1.17551
H -1.47190 -0.92294 -0.80803
Cl -3.43551 -2.87677 -3.11328
C -2.39175 -4.23660 -2.89557
C -1.62388 -4.64873 -3.98278
C -0.76207 -5.73330 -3.86042
C -0.66419 -6.40953 -2.64910
C -1.43161 -6.00306 -1.56280
C -2.29761 -4.91799 -1.68248
Cl -3.22647 -4.46984 -0.29610
H -1.69371 -4.12544 -4.93032
H -0.16641 -6.05069 -4.70985
H 0.00983 -7.25391 -2.55068
H -1.35134 -6.53664 -0.62188

Values from the calculation:
Kohn-Sham gap ... 10.051 eV
LUMO energy ... 0.45 eV
Strongest force on any atom ... 5.27 eV/Å
SMILES ... CCOCCCCC[C@@H]1OC(=O)O[C@H]1[C@H](F)CC.Clc1ccccc1Cl

***

# 2
ORCA calculation (the ωB97M-V functional and the def2-TZVPD basis) on a 11-piece molecular cluster, C4H27NO12S overall in a non-equilibrium geometry.

Atoms and positions in Å:
O -2.09339 -1.52510 -0.02305
C -1.06493 -1.01394 0.45574
N -0.42082 -1.65582 1.45702
C 1.10199 -1.51028 1.71605
O 1.70178 -2.68237 1.48616
C -0.59415 0.36943 0.06843
C -1.50535 1.08112 -0.92794
S -1.71415 2.88917 -0.56177
H -0.74226 -2.60186 1.62711
H 1.19225 -1.18948 2.77455
H 1.46729 -0.70158 1.08107
H -0.43213 0.90031 1.02232
H 0.39186 0.24893 -0.39285
H -1.08590 0.94738 -1.93188
H -2.52181 0.68406 -0.95903
H -0.74552 1.33304 3.80888
H -1.68994 2.04763 2.80865
O -0.88002 2.18323 3.35046
H -3.02822 2.17085 1.13209
H -2.91044 0.67619 1.23147
O -3.14798 1.43175 1.78634
H 1.62672 -3.28856 0.06247
H 2.11780 -3.04599 -1.42904
O 1.60130 -3.66616 -0.90937
H -1.27909 -2.77332 -1.92741
H 0.12355 -3.43411 -1.84855
O -0.63665 -3.27664 -2.45452
H 0.29642 -2.27397 -3.54846
H 1.57141 -1.33718 -3.54730
O 0.87145 -1.69795 -4.11644

**Request:**
Could you work out how many lines above have the word "HOMO" in them; a number is enough?

**Outcome:**
2